== Entries ==
1.
{
  "formula": "C2H4O4P",
  "method": "ωB97M-V/def2-TZVPD",
  "elements": ["C", "C", "O", "O", "O", "O", "P", "H", "H", "H", "H"],
  "coordinates": [[-3.377, 0.521, -0.480], [0.644, -1.310, 0.196], [2.606, 0.727, -1.303], [-4.286, 0.655, 0.314], [2.383, 2.241, 0.635], [1.263, -0.146, 0.727], [1.740, 1.213, -0.213], [-2.423, 0.868, -0.256], [1.087, -2.079, 0.829], [0.868, -1.444, -0.883], [-0.504, -1.248, 0.434]],
  "atomic_forces_ev_per_a": [[-4.734, -0.297, 1.973], [-0.898, 1.145, 0.724], [0.148, -1.142, -1.821], [2.197, -0.478, -2.252], [-0.537, 0.686, 1.420], [0.001, 0.960, -0.112], [-0.031, -0.679, 0.388], [2.616, 0.779, 0.281], [-0.321, -0.589, -0.454], [-0.271, -0.057, 0.602], [1.829, -0.328, -0.749]],
  "mulliken_charge": [0.04, -0.44, -0.59, -0.31, -0.58, -0.23, 0.28, 0.26, 0.21, 0.26, 0.10],
  "charge": -1,
  "orbital_gap_ha": [0.18520, 0.29263],
  "energy_ha": -720.9195
}

***

2.
{
  "formula": "C20H25O5P",
  "method": "ωB97M-V/def2-TZVPD",
  "elements": ["C", "C", "O", "C", "C", "O", "C", "C", "C", "C", "O", "O", "P", "O", "C", "C", "C", "C", "C", "C", "C", "C", "C", "C", "C", "C", "H", "H", "H", "H", "H", "H", "H", "H", "H", "H", "H", "H", "H", "H", "H", "H", "H", "H", "H", "H", "H", "H", "H", "H", "H"],
  "coordinates": [[-5.618, -0.401, 0.431], [-4.238, -0.193, 1.053], [-3.211, 0.025, 0.113], [-3.250, 1.274, -0.531], [-1.960, 1.444, -1.338], [-0.802, 1.523, -0.552], [-0.632, 2.687, 0.221], [0.867, 2.963, 0.240], [1.623, 1.699, 0.644], [3.113, 2.015, 0.672], [3.748, 2.088, 1.686], [3.659, 2.255, -0.519], [1.455, 0.347, -0.634], [1.533, 0.865, -2.011], [2.936, -0.661, -0.240], [3.193, -1.148, 1.036], [4.326, -1.903, 1.270], [5.201, -2.186, 0.233], [4.942, -1.713, -1.042], [3.811, -0.953, -1.276], [0.157, -0.876, -0.271], [-0.282, -1.191, 1.005], [-1.209, -2.201, 1.178], [-1.697, -2.897, 0.084], [-1.255, -2.584, -1.189], [-0.324, -1.577, -1.366], [-5.987, 0.514, -0.024], [-6.319, -0.711, 1.201], [-5.563, -1.175, -0.330], [-4.276, 0.643, 1.771], [-3.932, -1.097, 1.584], [-3.347, 2.082, 0.212], [-4.101, 1.340, -1.225], [-2.052, 2.335, -1.977], [-1.817, 0.560, -1.963], [-1.167, 3.536, -0.223], [-1.008, 2.525, 1.242], [1.097, 3.777, 0.930], [1.171, 3.256, -0.768], [1.313, 1.372, 1.637], [3.047, 2.029, -1.247], [2.514, -0.929, 1.846], [4.530, -2.271, 2.265], [6.087, -2.774, 0.422], [5.623, -1.932, -1.851], [3.595, -0.569, -2.263], [0.082, -0.642, 1.860], [-1.553, -2.448, 2.172], [-2.424, -3.683, 0.226], [-1.637, -3.125, -2.044], [0.038, -1.315, -2.350]],
  "atomic_forces_ev_per_a": [[0.434, 0.116, 0.043], [-0.204, -0.092, 0.083], [0.126, 0.092, -0.157], [0.281, 0.051, -0.174], [-0.609, -0.109, 0.041], [-0.249, 0.405, 0.192], [0.178, 0.305, 0.113], [-0.518, -0.061, -0.163], [0.093, -0.323, -0.495], [-0.252, -0.025, 0.603], [0.051, 0.081, -0.031], [0.326, 0.233, -0.376], [0.218, -1.215, 1.760], [0.209, 0.455, -0.949], [-0.305, 0.125, -0.306], [-0.024, 0.036, -0.083], [0.024, -0.056, 0.135], [0.042, -0.031, -0.006], [0.075, -0.055, -0.010], [-0.054, 0.053, -0.091], [0.364, 0.324, -0.170], [0.006, 0.033, -0.018], [0.018, -0.049, 0.131], [-0.045, -0.076, -0.027], [-0.082, -0.099, 0.002], [0.071, 0.070, -0.079], [-0.098, 0.058, -0.049], [-0.122, -0.021, 0.069], [-0.038, -0.097, -0.078], [0.060, -0.099, -0.021], [-0.065, 0.101, 0.070], [-0.035, -0.024, -0.065], [0.075, 0.061, 0.049], [0.037, -0.097, 0.029], [-0.094, 0.107, -0.072], [-0.008, -0.074, 0.058], [-0.027, 0.045, -0.097], [0.014, -0.022, -0.017], [-0.001, 0.063, 0.092], [0.110, -0.088, -0.006], [0.000, 0.041, -0.073], [-0.045, 0.007, 0.152], [0.018, -0.025, 0.076], [0.066, -0.046, 0.019], [0.049, -0.018, -0.059], [0.013, 0.033, -0.078], [0.022, 0.048, 0.135], [-0.027, -0.012, 0.072], [-0.054, -0.065, 0.014], [-0.017, -0.036, -0.060], [-0.006, -0.027, -0.130]],

== Brief ==
What is needed: print all of the entries further above without additions.

== Done ==
1.
{
  "formula": "C2H4O4P",
  "method": "ωB97M-V/def2-TZVPD",
  "elements": ["C", "C", "O", "O", "O", "O", "P", "H", "H", "H", "H"],
  "coordinates": [[-3.377, 0.521, -0.480], [0.644, -1.310, 0.196], [2.606, 0.727, -1.303], [-4.286, 0.655, 0.314], [2.383, 2.241, 0.635], [1.263, -0.146, 0.727], [1.740, 1.213, -0.213], [-2.423, 0.868, -0.256], [1.087, -2.079, 0.829], [0.868, -1.444, -0.883], [-0.504, -1.248, 0.434]],
  "atomic_forces_ev_per_a": [[-4.734, -0.297, 1.973], [-0.898, 1.145, 0.724], [0.148, -1.142, -1.821], [2.197, -0.478, -2.252], [-0.537, 0.686, 1.420], [0.001, 0.960, -0.112], [-0.031, -0.679, 0.388], [2.616, 0.779, 0.281], [-0.321, -0.589, -0.454], [-0.271, -0.057, 0.602], [1.829, -0.328, -0.749]],
  "mulliken_charge": [0.04, -0.44, -0.59, -0.31, -0.58, -0.23, 0.28, 0.26, 0.21, 0.26, 0.10],
  "charge": -1,
  "orbital_gap_ha": [0.18520, 0.29263],
  "energy_ha": -720.9195
}

***

2.
{
  "formula": "C20H25O5P",
  "method": "ωB97M-V/def2-TZVPD",
  "elements": ["C", "C", "O", "C", "C", "O", "C", "C", "C", "C", "O", "O", "P", "O", "C", "C", "C", "C", "C", "C", "C", "C", "C", "C", "C", "C", "H", "H", "H", "H", "H", "H", "H", "H", "H", "H", "H", "H", "H", "H", "H", "H", "H", "H", "H", "H", "H", "H", "H", "H", "H"],
  "coordinates": [[-5.618, -0.401, 0.431], [-4.238, -0.193, 1.053], [-3.211, 0.025, 0.113], [-3.250, 1.274, -0.531], [-1.960, 1.444, -1.338], [-0.802, 1.523, -0.552], [-0.632, 2.687, 0.221], [0.867, 2.963, 0.240], [1.623, 1.699, 0.644], [3.113, 2.015, 0.672], [3.748, 2.088, 1.686], [3.659, 2.255, -0.519], [1.455, 0.347, -0.634], [1.533, 0.865, -2.011], [2.936, -0.661, -0.240], [3.193, -1.148, 1.036], [4.326, -1.903, 1.270], [5.201, -2.186, 0.233], [4.942, -1.713, -1.042], [3.811, -0.953, -1.276], [0.157, -0.876, -0.271], [-0.282, -1.191, 1.005], [-1.209, -2.201, 1.178], [-1.697, -2.897, 0.084], [-1.255, -2.584, -1.189], [-0.324, -1.577, -1.366], [-5.987, 0.514, -0.024], [-6.319, -0.711, 1.201], [-5.563, -1.175, -0.330], [-4.276, 0.643, 1.771], [-3.932, -1.097, 1.584], [-3.347, 2.082, 0.212], [-4.101, 1.340, -1.225], [-2.052, 2.335, -1.977], [-1.817, 0.560, -1.963], [-1.167, 3.536, -0.223], [-1.008, 2.525, 1.242], [1.097, 3.777, 0.930], [1.171, 3.256, -0.768], [1.313, 1.372, 1.637], [3.047, 2.029, -1.247], [2.514, -0.929, 1.846], [4.530, -2.271, 2.265], [6.087, -2.774, 0.422], [5.623, -1.932, -1.851], [3.595, -0.569, -2.263], [0.082, -0.642, 1.860], [-1.553, -2.448, 2.172], [-2.424, -3.683, 0.226], [-1.637, -3.125, -2.044], [0.038, -1.315, -2.350]],
  "atomic_forces_ev_per_a": [[0.434, 0.116, 0.043], [-0.204, -0.092, 0.083], [0.126, 0.092, -0.157], [0.281, 0.051, -0.174], [-0.609, -0.109, 0.041], [-0.249, 0.405, 0.192], [0.178, 0.305, 0.113], [-0.518, -0.061, -0.163], [0.093, -0.323, -0.495], [-0.252, -0.025, 0.603], [0.051, 0.081, -0.031], [0.326, 0.233, -0.376], [0.218, -1.215, 1.760], [0.209, 0.455, -0.949], [-0.305, 0.125, -0.306], [-0.024, 0.036, -0.083], [0.024, -0.056, 0.135], [0.042, -0.031, -0.006], [0.075, -0.055, -0.010], [-0.054, 0.053, -0.091], [0.364, 0.324, -0.170], [0.006, 0.033, -0.018], [0.018, -0.049, 0.131], [-0.045, -0.076, -0.027], [-0.082, -0.099, 0.002], [0.071, 0.070, -0.079], [-0.098, 0.058, -0.049], [-0.122, -0.021, 0.069], [-0.038, -0.097, -0.078], [0.060, -0.099, -0.021], [-0.065, 0.101, 0.070], [-0.035, -0.024, -0.065], [0.075, 0.061, 0.049], [0.037, -0.097, 0.029], [-0.094, 0.107, -0.072], [-0.008, -0.074, 0.058], [-0.027, 0.045, -0.097], [0.014, -0.022, -0.017], [-0.001, 0.063, 0.092], [0.110, -0.088, -0.006], [0.000, 0.041, -0.073], [-0.045, 0.007, 0.152], [0.018, -0.025, 0.076], [0.066, -0.046, 0.019], [0.049, -0.018, -0.059], [0.013, 0.033, -0.078], [0.022, 0.048, 0.135], [-0.027, -0.012, 0.072], [-0.054, -0.065, 0.014], [-0.017, -0.036, -0.060], [-0.006, -0.027, -0.130]],